The following is a DFT calculation (ωB97M-V/def2-TZVPD) of 2 unconnected molecules or ions with the total composition C4H6N2O at a distorted geometry.

Bonds (Å) are listed after each position.
CARTESIAN COORDINATES (ANGSTROEM)
1 C -1.119 -0.109 -1.995  C2 1.489, H5 1.099, H6 1.179, H7 1.109
2 C -0.450 -0.087 -0.664  C1 1.489, C3 1.417, N12 1.442
3 C -1.051 -0.631 0.498  C2 1.417, H8 1.178, O13 1.399
4 C 1.022 0.069 0.840  N11 1.418, N12 1.271, O13 1.359
5 H -0.847 -0.827 -2.782  C1 1.099
6 H -0.883 0.981 -2.376  C1 1.179
7 H -2.214 -0.201 -1.850  C1 1.109
8 H -1.932 -1.403 0.625  C3 1.178
9 H 3.003 1.577 2.069  no bonds
10 H 1.695 0.242 2.764  N11 1.032
11 N 1.904 0.595 1.817  C4 1.418, H10 1.032
12 N 0.907 0.321 -0.401  C2 1.442, C4 1.271
13 O -0.035 -0.526 1.455  C3 1.399, C4 1.359

Values from the calculation:
gap between HOMO and LUMO	0.2802	hartree
HOMO level	-8.1	eV
energy above the lowest of the compared OMol25 structures with the same formula, charge and spin	103.99	kcal/mol


Computed, not measured: a molecular structure, C16H20AuN6O3, with ωB97M-V with the def2-TZVPD basis set.

Calculated values
HOMO (spin up / spin down) ... -11.38 / -11.33 eV
Frontier orbital gap (spin up / spin down) ... 8.936 / 5.964 eV
Net charge ... +1
Relative energy (zero: lowest compared OMol25 entry of this formula, charge and spin) ... 0.0 kJ/mol
Lowest unoccupied orbital energy (spin up / spin down) ... -2.4 / -5.4 eV
<S²> ... 2.0098
Multiplicity ... 3

Each line ends with the Mulliken charge.
Cartesian coordinates (Å):
C -3.35080 -0.12207 -1.15390  -0.62
H -0.82278 -3.13235 0.89692  0.12
H -0.92325 -0.36014 5.14713  0.44
O -0.52900 -2.35485 -1.53904  -0.47
O 1.91463 -0.10281 -1.47711  -0.54
C 1.52226 -3.12824 -0.50117  -1.65
H 2.14528 -2.70649 -1.29001  0.39
H -4.52278 -0.11614 1.76781  0.18
C -0.92380 -0.43722 4.07448  -0.44
H -3.29807 -0.08273 -2.22734  0.44
N -2.22217 -0.23747 -0.37567  -0.03
H -0.39072 -4.82081 0.53465  0.44
H 1.08599 -0.98142 3.37081  0.44
C 0.05523 -0.74041 3.17565  -0.57
H 0.57060 -5.46720 -1.70748  0.39
O 0.31952 1.75207 -0.71254  -0.83
N -3.95409 -0.12989 0.93858  -0.14
H 0.08313 4.06782 -0.51666  0.40
Au -0.12613 -0.30595 -0.96654  1.13
H 4.87686 5.17394 -0.97600  0.38
C 3.82640 4.93782 -0.87492  -0.49
C 2.90550 5.94614 -0.61805  -0.51
N 2.39027 1.09186 -1.39143  -0.20
H 0.84007 6.41908 -0.28885  0.37
H 4.12164 2.83373 -1.19996  0.45
C 1.56091 5.63764 -0.48727  -0.47
H -1.81108 -4.08934 -0.24576  0.40
C -1.71228 -0.37823 2.02441  0.06
H 3.23869 6.97039 -0.52020  0.39
C 2.06134 3.34077 -0.86987  0.46
H -5.48653 0.04600 -0.56261  0.43
C 3.41276 3.62351 -1.00164  -0.31
C -4.43810 -0.05353 -0.34756  -0.36
N 1.59167 1.97622 -1.00241  0.84
N -0.44649 -0.70188 1.90138  -0.06
H 1.45595 -2.40854 0.31646  0.27
H -2.94092 0.06979 3.70530  0.18
N -2.05052 -0.20636 3.32865  -0.12
C 1.12618 4.32579 -0.61230  -0.49
C -0.80532 -3.89962 0.12464  -1.30
C -2.61119 -0.23890 0.88641  0.54
C 0.14182 -3.46899 -1.03627  1.84
C 0.16316 -4.54479 -2.12028  -1.65
H -0.84208 -4.73550 -2.49309  0.42
H 0.79508 -4.22844 -2.94961  0.41
H 2.00315 -4.03228 -0.12774  0.46

=====

Computed, not measured: a molecular structure, C20H20Br2Cl2GaO5S, with ωB97M-V with the def2-TZVPD basis set.

Calculated values
HOMO ... -4.81 eV
Frontier orbital gap ... 4.918 eV
Net charge ... -1
Lowest unoccupied orbital energy ... 0.1 eV
Multiplicity ... 1

Each line ends with the Mulliken charge.
Cartesian coordinates (Å):
H -0.58234 1.58561 -3.31062  0.38
H 5.91510 -2.27831 3.88996  0.40
Cl 2.38367 2.99245 -0.41990  -0.41
H -4.83562 -2.43446 -2.21088  0.43
Br -0.51471 1.67478 1.22033  -0.11
H -6.04616 -4.31696 -1.10037  0.40
C -1.50460 3.74451 -1.75897  0.33
C -4.41317 -1.36105 -0.34961  0.45
C 4.36471 1.03708 -2.20729  0.17
H 3.60982 -2.30912 4.85108  0.41
H 3.07047 -0.53955 -2.39257  0.31
H -2.48638 3.76914 -2.22709  0.36
O -6.39059 -4.44212 1.46255  -0.57
C -5.80058 -3.52796 0.92617  0.37
H -5.36771 -2.46272 2.78822  0.41
C 3.10297 0.51117 -2.67184  -0.48

Next, type out only the lines earlier on with the word "values" in them.

Calculated values
Calculated values